The “you can do anything you set your mind to” phenomenon must be a fairly recent one.
I say that only because I’m trying — and struggling — to imagine too many people even a couple of hundred years ago thinking in this way, let alone in the centuries before that. Oh, sure, there were rulers who definitely operated with this kind of grandiose mindset — and it didn’t hurt that were treated more like deities than like human beings — but the common person?
The common person has — traditionally — been acutely aware of their limitations. They have felt from deep within their core that without extraordinary luck, their lot in life had pretty much been decided before they were born. Thankfully, this is becoming untrue for an increasing number of people, as we move — ever haltingly — towards greater social mobility around the world. We have a long way to go, but at least we’re going.
Personally, I both love and hate “you can do anything you set your mind to.”
I love it because for the people born into the most testing of circumstances — that they didn’t ask to be born into — this kind of positive self-belief can be the fuel that helps them to overcome their harsh beginnings. Believing in their unlimited potential can start them on a path that leads them to, if not become leader of the world, then at least make more of themselves than anybody could have realistically expected.
But there’s a big difference between being born into trying circumstances and being born into relative comfort and luxury, and it’s these people for whom “you can do anything you set your mind to” is a dangerous trap.
I suppose my real beef with it is the assumption that we are born as blank canvases. I don’t believe that for a second. I don’t believe you or I could have recorded Axis: Bold As Love. And I don’t believe Jimi Hendrix could have isolated molybdenum. I don’t believe that whoever could have done whatever… if it wasn’t in their nature to do so.
You are not a blank canvas. You have within you a multitude of strengths and weaknesses. You are drawn toward certain things in life, and away from others. Whilst the “you can do anything you set your mind to” cheerleaders might champion discovering your strengths and your passions and what makes you tick, they are missing the other essential half of the equation.
Your weaknesses, your limitations, the things you hate… these “negatives” have just as much — I believe more — of an effect than the “positives” which — granted — are nicer to think about.
Imagine coming home from Tesco with a bag for life filled with tomatoes. Now, there are lot of things you could make with that big old bag of tomatoes, but this list is not infinite, and I think you’ll agree that — hypothetically — knowing what tomatoes are and are not capable of could potentially save you a lot of wasted time.
But if instead you decided to adopt the “you can do anything you set your mind to” mantra when it came to your bag of tomatoes, then there are any number of dumb things you might end up doing. You might put them in the toaster, labouring under the impression that if you just set your mind to it, they’ll turn into toast. But you’d just end up making a mess. Ruining your toaster. Maybe even starting an electrical fire.
Tomatoes — delicious and versatile as they are — have limitations, just like everything in the known universe. Things only work in the space they work in. Learning what a tomato — or a block of wood, or you, yourself, as a unique human being — is actually capable of is not some kind of scary exercise in negativity that should be avoided at all costs. It’s not depressing, it’s not giving in… it’s liberating. It’s an extremely intelligent way to approach life.
Prior to being diagnosed with ADHD, I just thought I was shit at a load of things mentally — remembering where I’d put things, being organised, staying on task with things that were boring — that other people seemed to get along just fine with. I assumed that my only option, other than “give up,” was to try harder at everything — to “set my mind” to it. This only served to make me feel worse about myself when I couldn’t do what I tried to, no matter how hard I tried.
After my diagnosis, however, I realised that there was another option open to me. My brain has a physical limitation, which has certain knock-on effects on what I am and am not capable of. And so I started learning how to compensate. I started accepting that most of the things I am naturally crap at are not worth worrying about, and I started devising ways to step around them instead, saving my energy for the areas of life where my trying could actually make a difference.
Before diagnosis, I was putting tomatoes in the toaster, and when they didn’t turn into toast, I was heaping more and more of them in, turning up the heat on the toaster, and then crying about the inevitable fires I was causing.
After diagnosis, I decided to use them to make soup instead.
Next to the piece, the page also holds materials data:
-- begin --
This entry pairs a crystal structure of Pr8Dy5Er with its theoretical powder X-ray diffraction pattern. Radiation: a wavelength of 1.5418 Å. Structure: a crystal structure in Alexandria, relaxed with GGA-PBE.

Peak list (8 most intense, 2θ from 10° to 90°, in order of rising 2θ)
d_spacing  2θ (°)  I_rel
3.484  25.57  26
3.023  29.55  46
2.905  30.78  38
2.855  31.33  100
2.824  31.69  37
2.777  32.24  61
2.620  34.22  39
1.833  49.75  27

Atomic structure:
Unit cell a=8.6404 b=8.6404 c=9.1986 alpha=121.72 beta=121.72 gamma=81.60
Sites, in units of the cell vectors:
1 Pr 0.0610 0.0610 0.2777
2 Pr 0.1142 0.2845 0.7681
3 Pr 0.3792 0.4927 0.7108
4 Pr 0.5073 0.6208 0.2892
5 Pr 0.5681 0.1223 0.9535
6 Pr 0.7155 0.8858 0.2319
7 Pr 0.8777 0.4319 0.0465
8 Pr 0.9390 0.9390 0.7223
9 Dy 0.2248 0.7752 0.5000
10 Dy 0.3328 0.2763 0.2384
11 Dy 0.5385 0.0964 0.5378
12 Dy 0.7237 0.6672 0.7616
13 Dy 0.9036 0.4615 0.4622
14 Er 0.2224 0.7776 0.0000

This entry pairs a crystal structure of Pr5Dy3Er with its theoretical powder X-ray diffraction pattern. Radiation: a wavelength of 1.5418 Å. Structure: a crystal structure in Alexandria, relaxed with GGA-PBE.

Peak list (8 most intense, 2θ from 10° to 90°, in order of rising 2θ)
d_spacing  2θ (°)  I_rel
3.245  27.49  13
3.044  29.34  20
2.909  30.73  46
2.833  31.59  100
2.805  31.90  30
2.686  33.36  25
2.587  34.67  15
1.933  47.00  13

Atomic structure:
Unit cell a=10.0220 b=10.0220 c=11.6092 alpha=114.67 beta=114.67 gamma=37.97
Sites, in units of the cell vectors:
1 Pr 0.0274 0.6474 0.2902
2 Pr 0.1017 0.8983 0.7500
3 Pr 0.1512 0.5018 0.6414
4 Pr 0.3526 0.9726 0.2098
5 Pr 0.4982 0.8488 0.8586
6 Pr 0.5018 0.1512 0.1414
7 Pr 0.6474 0.0274 0.7902
8 Pr 0.8488 0.4982 0.3586
9 Pr 0.8983 0.1017 0.2500
10 Pr 0.9726 0.3526 0.7098
11 Dy 0.0491 0.6306 0.9870
12 Dy 0.3694 0.9509 0.5130
13 Dy 0.5000 0.5000 0.0000
14 Dy 0.5000 0.5000 0.5000
15 Dy 0.6306 0.0491 0.4870
16 Dy 0.9509 0.3694 0.0130
17 Er 0.3770 0.6230 0.2500
18 Er 0.6230 0.3770 0.7500

This entry pairs a crystal structure of Pr9Dy2Er3 with its theoretical powder X-ray diffraction pattern. Radiation: a wavelength of 1.5418 Å. Structure: a crystal structure in Alexandria, relaxed with GGA-PBE.

Peak list (8 most intense, 2θ from 10° to 90°, in order of rising 2θ)
d_spacing  2θ (°)  I_rel
3.427  26.00  21
3.002  29.76  38
2.938  30.43  68
2.753  32.53  100
2.592  34.60  21
2.512  35.74  20
1.737  52.71  25
1.719  53.28  16

Atomic structure:
Unit cell a=9.1891 b=9.1891 c=13.7089 alpha=90.00 beta=90.00 gamma=120.00
Sites, in units of the cell vectors:
1 Pr 0.0779 0.4818 0.2500
2 Pr 0.1305 0.7267 0.0378
3 Pr 0.1305 0.7267 0.4622
4 Pr 0.2733 0.4038 0.0378
5 Pr 0.2733 0.4038 0.4622
6 Pr 0.4038 0.1305 0.5378
7 Pr 0.4038 0.1305 0.9622
8 Pr 0.4039 0.9221 0.2500
9 Pr 0.4818 0.4039 0.7500
10 Pr 0.5182 0.5961 0.2500
11 Pr 0.5961 0.0779 0.7500
12 Pr 0.5962 0.8695 0.0378
13 Pr 0.5962 0.8695 0.4622
14 Pr 0.7267 0.5962 0.5378
15 Pr 0.7267 0.5962 0.9622
16 Pr 0.8695 0.2733 0.5378
-- stop --
Very balanced and insightful. Have you heard of Epictetus ? One of the most important tenets of his teachings runs like this :
“Some things are within our power, while others are not. Within our power are opinion, motivation, desire, aversion, and, in a word, whatever is of our own doing; not within our power are our body, our property, reputation, office, and, in a word, whatever is not of our own doing.”
It’s a statement which sets the foundations for dealing with what’s within our control, and being less affected by the things that aren’t*, so I’ll leave you with the question above and the link below for further reading in your own good time. As you’re already practising his teachings in part, I thought you might find it enjoyable and helpful to study them more consciously as a way of thinking and living.
*Footnote : Epictetus also developed that point (known as the dichotomy of control) when he said “Make the best use of what is in your power, and take the rest as it happens”.